Listing
1.
Ac2TmCdTe5: theoretical powder X-ray diffraction pattern (Cu Kα (λ = 1.5418 Å)), based on DFT lattice parameters and positions (PBE).
Kinematic intensities with the Lorentz-polarization factor, no thermal factor.

Main lines, sorted by position (2θ from 10° to 80°):
2θ 24.06, d = 3.698 Å, rel. 24.6
2θ 27.98, d = 3.189 Å, rel. 48.2
2θ 28.20, d = 3.165 Å, rel. 100.0
2θ 30.19, d = 2.960 Å, rel. 17.2
2θ 32.95, d = 2.718 Å, rel. 46.3
2θ 36.14, d = 2.485 Å, rel. 22.3
2θ 40.09, d = 2.249 Å, rel. 42.0
2θ 49.61, d = 1.837 Å, rel. 19.9

Structure:
Unit cell a=10.089 b=10.089 c=13.720 alpha=90.00 beta=90.00 gamma=154.25
Fractional positions:
Ac (0.117, 0.883, 0.500)
Ac (0.132, 0.868, 0.124)
Ac (0.868, 0.132, 0.624)
Ac (0.883, 0.117, 0.000)
Tm (0.199, 0.801, 0.828)
Tm (0.801, 0.199, 0.328)
Cd (0.442, 0.558, 0.268)
Cd (0.558, 0.442, 0.768)
Te (0.048, 0.952, 0.887)
Te (0.288, 0.712, 0.479)
Te (0.307, 0.693, 0.169)
Te (0.355, 0.645, 0.816)
Te (0.496, 0.504, 0.587)
Te (0.504, 0.496, 0.087)
Te (0.645, 0.355, 0.316)
Te (0.693, 0.307, 0.669)
Te (0.712, 0.288, 0.979)
Te (0.952, 0.048, 0.387)

2.
LaPaAsC: theoretical powder X-ray diffraction pattern (Cu Kα (λ = 1.5418 Å)), based on DFT lattice parameters and positions (PBE).
Kinematic intensities with the Lorentz-polarization factor, no thermal factor.

Main lines, sorted by position (2θ from 10° to 80°):
2θ 25.64, d = 3.474 Å, rel. 27.9
2θ 26.65, d = 3.345 Å, rel. 25.7
2θ 27.43, d = 3.252 Å, rel. 20.5
2θ 29.41, d = 3.037 Å, rel. 100.0
2θ 34.74, d = 2.582 Å, rel. 18.5
2θ 39.62, d = 2.275 Å, rel. 27.5
2θ 44.43, d = 2.039 Å, rel. 40.5
2θ 54.18, d = 1.693 Å, rel. 18.5

Structure:
Unit cell a=14.075 b=14.075 c=14.075 alpha=16.66 beta=16.66 gamma=16.66
Fractional positions:
La (0.211, 0.211, 0.211)
La (0.789, 0.789, 0.789)
Pa (0.367, 0.367, 0.367)
Pa (0.633, 0.633, 0.633)
As (0.082, 0.082, 0.082)
As (0.918, 0.918, 0.918)
C (0.312, 0.312, 0.312)
C (0.688, 0.688, 0.688)

3.
HoAlSi2: theoretical powder X-ray diffraction pattern (Cu Kα (λ = 1.5418 Å)), based on DFT lattice parameters and positions (PBE).
Kinematic intensities with the Lorentz-polarization factor, no thermal factor.

Main lines, sorted by position (2θ from 10° to 80°):
2θ 10.48, d = 8.442 Å, rel. 30.4
2θ 21.05, d = 4.221 Å, rel. 63.6
2θ 23.88, d = 3.726 Å, rel. 40.2
2θ 30.19, d = 2.960 Å, rel. 54.2
2θ 32.99, d = 2.715 Å, rel. 35.5
2θ 35.20, d = 2.549 Å, rel. 73.6
2θ 35.38, d = 2.537 Å, rel. 100.0
2θ 43.60, d = 2.076 Å, rel. 37.7

Structure:
Unit cell a=12.821 b=4.152 c=11.217 alpha=90.00 beta=90.00 gamma=90.00
Fractional positions:
Ho (0.051, 0.250, 0.227)
Ho (0.200, 0.750, 0.964)
Ho (0.300, 0.250, 0.464)
Ho (0.449, 0.750, 0.727)
Ho (0.551, 0.250, 0.273)
Ho (0.700, 0.750, 0.536)
Ho (0.800, 0.250, 0.036)
Ho (0.949, 0.750, 0.773)
Al (0.065, 0.250, 0.552)
Al (0.190, 0.750, 0.654)
Al (0.310, 0.250, 0.154)
Al (0.435, 0.750, 0.052)
Al (0.565, 0.250, 0.948)
Al (0.690, 0.750, 0.846)
Al (0.810, 0.250, 0.346)
Al (0.935, 0.750, 0.448)
Si (0.029, 0.250, 0.964)
Si (0.109, 0.250, 0.779)
Si (0.131, 0.750, 0.427)
Si (0.210, 0.750, 0.229)
Si (0.290, 0.250, 0.729)
Si (0.369, 0.250, 0.927)
Si (0.391, 0.750, 0.279)
Si (0.471, 0.750, 0.464)
Si (0.529, 0.250, 0.536)
Si (0.609, 0.250, 0.721)
Si (0.631, 0.750, 0.073)
Si (0.710, 0.750, 0.271)
Si (0.790, 0.250, 0.771)
Si (0.869, 0.250, 0.573)
Si (0.891, 0.750, 0.221)
Si (0.971, 0.750, 0.036)

4.
MnNb3S8: theoretical powder X-ray diffraction pattern (Cu Kα (λ = 1.5418 Å)), based on DFT lattice parameters and positions (PBE).
Kinematic intensities with the Lorentz-polarization factor, no thermal factor.

Main lines, sorted by position (2θ from 10° to 80°):
2θ 15.37, d = 5.764 Å, rel. 67.0
2θ 16.76, d = 5.289 Å, rel. 63.4
2θ 30.28, d = 2.952 Å, rel. 38.1
2θ 31.04, d = 2.881 Å, rel. 44.0
2θ 33.90, d = 2.644 Å, rel. 67.5
2θ 38.25, d = 2.353 Å, rel. 100.0
2θ 50.04, d = 1.823 Å, rel. 47.2
2θ 53.32, d = 1.718 Å, rel. 53.6

Structure:
Unit cell a=6.873 b=6.873 c=11.528 alpha=90.00 beta=90.00 gamma=120.00

Request
Restate the lines earlier on up to the one that holds "0.721)", that line included.

Outcome
1.
Ac2TmCdTe5: theoretical powder X-ray diffraction pattern (Cu Kα (λ = 1.5418 Å)), based on DFT lattice parameters and positions (PBE).
Kinematic intensities with the Lorentz-polarization factor, no thermal factor.

Main lines, sorted by position (2θ from 10° to 80°):
2θ 24.06, d = 3.698 Å, rel. 24.6
2θ 27.98, d = 3.189 Å, rel. 48.2
2θ 28.20, d = 3.165 Å, rel. 100.0
2θ 30.19, d = 2.960 Å, rel. 17.2
2θ 32.95, d = 2.718 Å, rel. 46.3
2θ 36.14, d = 2.485 Å, rel. 22.3
2θ 40.09, d = 2.249 Å, rel. 42.0
2θ 49.61, d = 1.837 Å, rel. 19.9

Structure:
Unit cell a=10.089 b=10.089 c=13.720 alpha=90.00 beta=90.00 gamma=154.25
Fractional positions:
Ac (0.117, 0.883, 0.500)
Ac (0.132, 0.868, 0.124)
Ac (0.868, 0.132, 0.624)
Ac (0.883, 0.117, 0.000)
Tm (0.199, 0.801, 0.828)
Tm (0.801, 0.199, 0.328)
Cd (0.442, 0.558, 0.268)
Cd (0.558, 0.442, 0.768)
Te (0.048, 0.952, 0.887)
Te (0.288, 0.712, 0.479)
Te (0.307, 0.693, 0.169)
Te (0.355, 0.645, 0.816)
Te (0.496, 0.504, 0.587)
Te (0.504, 0.496, 0.087)
Te (0.645, 0.355, 0.316)
Te (0.693, 0.307, 0.669)
Te (0.712, 0.288, 0.979)
Te (0.952, 0.048, 0.387)

2.
LaPaAsC: theoretical powder X-ray diffraction pattern (Cu Kα (λ = 1.5418 Å)), based on DFT lattice parameters and positions (PBE).
Kinematic intensities with the Lorentz-polarization factor, no thermal factor.

Main lines, sorted by position (2θ from 10° to 80°):
2θ 25.64, d = 3.474 Å, rel. 27.9
2θ 26.65, d = 3.345 Å, rel. 25.7
2θ 27.43, d = 3.252 Å, rel. 20.5
2θ 29.41, d = 3.037 Å, rel. 100.0
2θ 34.74, d = 2.582 Å, rel. 18.5
2θ 39.62, d = 2.275 Å, rel. 27.5
2θ 44.43, d = 2.039 Å, rel. 40.5
2θ 54.18, d = 1.693 Å, rel. 18.5

Structure:
Unit cell a=14.075 b=14.075 c=14.075 alpha=16.66 beta=16.66 gamma=16.66
Fractional positions:
La (0.211, 0.211, 0.211)
La (0.789, 0.789, 0.789)
Pa (0.367, 0.367, 0.367)
Pa (0.633, 0.633, 0.633)
As (0.082, 0.082, 0.082)
As (0.918, 0.918, 0.918)
C (0.312, 0.312, 0.312)
C (0.688, 0.688, 0.688)

3.
HoAlSi2: theoretical powder X-ray diffraction pattern (Cu Kα (λ = 1.5418 Å)), based on DFT lattice parameters and positions (PBE).
Kinematic intensities with the Lorentz-polarization factor, no thermal factor.

Main lines, sorted by position (2θ from 10° to 80°):
2θ 10.48, d = 8.442 Å, rel. 30.4
2θ 21.05, d = 4.221 Å, rel. 63.6
2θ 23.88, d = 3.726 Å, rel. 40.2
2θ 30.19, d = 2.960 Å, rel. 54.2
2θ 32.99, d = 2.715 Å, rel. 35.5
2θ 35.20, d = 2.549 Å, rel. 73.6
2θ 35.38, d = 2.537 Å, rel. 100.0
2θ 43.60, d = 2.076 Å, rel. 37.7

Structure:
Unit cell a=12.821 b=4.152 c=11.217 alpha=90.00 beta=90.00 gamma=90.00
Fractional positions:
Ho (0.051, 0.250, 0.227)
Ho (0.200, 0.750, 0.964)
Ho (0.300, 0.250, 0.464)
Ho (0.449, 0.750, 0.727)
Ho (0.551, 0.250, 0.273)
Ho (0.700, 0.750, 0.536)
Ho (0.800, 0.250, 0.036)
Ho (0.949, 0.750, 0.773)
Al (0.065, 0.250, 0.552)
Al (0.190, 0.750, 0.654)
Al (0.310, 0.250, 0.154)
Al (0.435, 0.750, 0.052)
Al (0.565, 0.250, 0.948)
Al (0.690, 0.750, 0.846)
Al (0.810, 0.250, 0.346)
Al (0.935, 0.750, 0.448)
Si (0.029, 0.250, 0.964)
Si (0.109, 0.250, 0.779)
Si (0.131, 0.750, 0.427)
Si (0.210, 0.750, 0.229)
Si (0.290, 0.250, 0.729)
Si (0.369, 0.250, 0.927)
Si (0.391, 0.750, 0.279)
Si (0.471, 0.750, 0.464)
Si (0.529, 0.250, 0.536)
Si (0.609, 0.250, 0.721)